(To do)
Duplicate every line further below that contains the word "crystal", please.

(Listing)
____________
Entry 1:
This record from the Alexandria database describes a relaxed structure of CaSnPbCl6. The functional is GGA-PBE.

Computed properties:
The space group is P4_2nm (102).

a = 6.6574 Å, b = 6.6574 Å, c = 13.0094 Å
α = 90.00°, β = 90.00°, γ = 90.00°
Positions (direct):
Ca1 0.0000 0.0000 0.0000
Ca2 0.5000 0.5000 0.5000
Sn1 0.0000 0.0000 0.6665
Sn2 0.5000 0.5000 0.1665
Pb1 0.0000 0.0000 0.3331
Pb2 0.5000 0.5000 0.8331
Cl1 0.1902 0.1902 0.8376
Cl2 0.1950 0.1950 0.1596
Cl3 0.2052 0.2052 0.5020
Cl4 0.2948 0.7052 0.0020
Cl5 0.3050 0.6950 0.6596
Cl6 0.3098 0.6902 0.3376
Cl7 0.6902 0.3098 0.3376
Cl8 0.6950 0.3050 0.6596
Cl9 0.7052 0.2948 0.0020
Cl10 0.7948 0.7948 0.5020
Cl11 0.8050 0.8050 0.1596
Cl12 0.8098 0.8098 0.8376

***

Entry 2:
This record from the Alexandria database describes a relaxed structure of CaSn2PbCl8. The functional is GGA-PBE.

Computed properties:
The space group is P-1 (2).

a = 6.4711 Å, b = 6.7656 Å, c = 8.7600 Å
α = 89.62°, β = 89.87°, γ = 89.41°
Positions (direct):
Ca1 0.0000 0.0000 0.0000
Sn1 0.4971 0.4907 0.7550
Sn2 0.5029 0.5093 0.2450
Pb1 0.0000 0.0000 0.5000
Cl1 0.2046 0.8136 0.7619
Cl2 0.2411 0.8555 0.2388
Cl3 0.2663 0.3209 0.9737
Cl4 0.2747 0.3354 0.5275
Cl5 0.7253 0.6646 0.4725
Cl6 0.7337 0.6791 0.0263
Cl7 0.7589 0.1445 0.7612
Cl8 0.7954 0.1864 0.2381

***

Entry 3:
This record from the Alexandria database describes a relaxed structure of SrCaPbCl6. The functional is GGA-PBE.

Computed properties:
The space group is P4_2nm (102).

a = 6.6724 Å, b = 6.6724 Å, c = 13.1722 Å
α = 90.00°, β = 90.00°, γ = 90.00°
Positions (direct):
Sr1 0.0000 0.0000 0.0000
Sr2 0.5000 0.5000 0.5000
Ca1 0.0000 0.0000 0.6658
Ca2 0.5000 0.5000 0.1658
Pb1 0.0000 0.0000 0.3323
Pb2 0.5000 0.5000 0.8323
Cl1 0.1915 0.1915 0.5071
Cl2 0.1908 0.1908 0.8256
Cl3 0.2048 0.2048 0.1657
Cl4 0.2952 0.7048 0.6657
Cl5 0.3085 0.6915 0.0071
Cl6 0.3092 0.6908 0.3256
Cl7 0.6915 0.3085 0.0071
Cl8 0.6908 0.3092 0.3256
Cl9 0.7048 0.2952 0.6657
Cl10 0.7952 0.7952 0.1657
Cl11 0.8085 0.8085 0.5071
Cl12 0.8092 0.8092 0.8256

***

Entry 4:
This record from the Alexandria database describes a relaxed structure of SrCaPb2Cl8. The functional is GGA-PBE.

Computed properties:
The space group is P2/m (10).

a = 6.5739 Å, b = 8.8053 Å, c = 6.7582 Å
α = 90.00°, β = 90.36°, γ = 90.00°
Positions (direct):
Sr1 0.0000 0.0000 0.0000
Ca1 0.0000 0.5000 0.0000
Pb1 0.5000 0.2555 0.5000
Pb2 0.5000 0.7445 0.5000
Cl1 0.2205 0.2611 0.1614
Cl2 0.2205 0.7389 0.1614
Cl3 0.2628 0.5000 0.6778
Cl4 0.2732 0.0000 0.6634
Cl5 0.7268 0.0000 0.3366
Cl6 0.7372 0.5000 0.3222
Cl7 0.7795 0.2611 0.8386
Cl8 0.7795 0.7389 0.8386

***

Entry 5:
This record from the Alexandria database describes a relaxed structure of SrCaPbCl2. The functional is GGA-PBE.

Computed properties:
The space group is P4/mmm (123).

a = 5.7878 Å, b = 5.7878 Å, c = 6.3737 Å
α = 90.00°, β = 90.00°, γ = 90.00°
Positions (direct):
Sr1 0.0000 0.0000 0.0000
Ca1 0.5000 0.5000 0.0000
Pb1 0.5000 0.5000 0.5000
Cl1 0.0000 0.5000 0.5000
Cl2 0.5000 0.0000 0.5000

***

Entry 6:
This record from the Alexandria database describes a relaxed structure of CaTcPb2Cl. The functional is GGA-PBE.

Computed properties:
The space group is P4/mmm (123).

a = 5.6989 Å, b = 5.6989 Å, c = 4.3462 Å
α = 90.00°, β = 90.00°, γ = 90.00°
Positions (direct):
Ca1 0.0000 0.0000 0.0000
Tc1 0.5000 0.5000 0.0000
Pb1 0.0000 0.5000 0.5000
Pb2 0.5000 0.0000 0.5000
Cl1 0.5000 0.5000 0.5000

***

Summary of raw total energy in eV per atom
-3.821, -3.755, -4.056, -3.944, -2.752, -3.898
(order as listed above)
Summary of M_tot in μB per atom
0.00, 0.00, 0.00, 0.00, 0.00, 0.00
(order as listed above)
Summary of calculated volume in A^3/atom
32.0, 32.0, 32.6, 32.6, 42.7, 28.2
(order as listed above)


Run P
Zr4CN2 | PBE | optimized geometry

Summary:
total moment	0.0	μB/f.u.
crystal system	orthorhombic

```
data_Zr4CN2
_chemical_formula_sum 'Zr16 C4 N8'
_space_group_name_H-M_alt 'C m c m'
_space_group_IT_number 63
_space_group_name_Hall '-C 2c 2'
____________

(Here it is)
crystal system	orthorhombic